# Material
- - -
{
  "formula": "C16H15BaBrTe",
  "method": "ωB97M-V with the def2-TZVPD basis set",
  "elements": ["C", "C", "C", "H", "C", "C", "H", "H", "H", "H", "Ba", "Br", "C", "C", "C", "H", "C", "C", "H", "H", "H", "H", "Te", "C", "C", "C", "C", "C", "C", "H", "H", "H", "H", "H"],
  "xyz": [[-1.584, 1.629, -0.327], [-0.425, 2.241, 0.169], [0.596, 2.075, -0.798], [-0.310, 2.709, 1.130], [0.053, 1.380, -1.894], [-1.281, 1.069, -1.596], [-1.953, 0.514, -2.228], [-2.535, 1.578, 0.173], [1.619, 2.380, -0.693], [0.588, 1.080, -2.774], [0.000, 0.000, 0.000], [1.846, 0.639, 1.653], [0.032, -2.152, 0.819], [-0.912, -2.084, -0.235], [-1.937, -1.216, 0.169], [-0.825, -2.572, -1.188], [-1.623, -0.733, 1.467], [-0.428, -1.343, 1.873], [0.084, -1.169, 2.800], [0.963, -2.686, 0.798], [-2.804, -0.953, -0.410], [-2.200, -0.033, 2.046], [3.328, -1.727, -0.266], [5.039, -0.827, -1.124], [5.187, -0.664, -2.505], [6.373, -0.121, -3.015], [7.407, 0.253, -2.149], [7.258, 0.088, -0.770], [6.076, -0.452, -0.259], [4.394, -0.970, -3.177], [6.496, 0.002, -4.083], [8.327, 0.664, -2.543], [8.058, 0.367, -0.096], [5.971, -0.593, 0.810]],
  "lowdin_charge": [-0.363, -0.389, -0.400, 0.079, -0.323, -0.348, 0.091, 0.092, 0.076, 0.094, 1.638, -0.133, -0.407, -0.341, -0.368, 0.099, -0.340, -0.397, 0.056, 0.012, 0.090, 0.095, 0.547, -0.717, -0.184, -0.136, -0.158, -0.136, -0.190, 0.071, 0.074, 0.067, 0.078, 0.072],
  "energy_ha": -3485.8364,
  "largest_force_ev_per_a": 14.1,
  "homo_energy_ev": 0.314,
  "gap_ev": 3.99,
  "total_charge": -2,
  "multiplicity": 1,
  "e_lumo_ev": 4.31
}

{
  "formula": "C12H18CrF11GeNO5S3",
  "method": "ωB97M-V with the def2-TZVPD basis set",
  "elements": ["Cr", "F", "C", "F", "F", "S", "O", "O", "N", "S", "O", "O", "C", "F", "F", "F", "O", "S", "C", "C", "C", "C", "H", "H", "H", "H", "H", "H", "H", "H", "C", "Ge", "C", "C", "C", "H", "H", "H", "H", "H", "H", "H", "H", "H", "H", "F", "C", "F", "C", "F", "F", "F"],
  "xyz": [[-0.953, 0.507, 0.992], [-4.323, -1.746, 2.939], [-3.429, -1.662, 1.950], [-2.220, -1.562, 2.537], [-3.471, -2.793, 1.259], [-3.864, -0.152, 0.882], [-2.847, 0.835, 1.403], [-5.193, 0.124, 1.333], [-3.757, -0.516, -0.599], [-2.260, -1.008, -1.261], [-1.721, 0.392, -1.797], [-1.484, -1.221, 0.043], [-0.467, -2.344, -2.461], [-0.988, -2.357, -3.750], [-1.025, -3.523, -1.900], [0.867, -2.785, -2.676], [0.903, 0.053, 0.604], [1.332, -1.064, -0.397], [3.117, -1.136, -0.002], [3.380, -2.414, 0.799], [2.077, -2.724, 1.535], [1.002, -2.614, 0.465], [3.268, -0.236, 0.594], [3.690, -1.065, -0.926], [4.219, -2.283, 1.482], [3.617, -3.236, 0.120], [1.896, -1.978, 2.312], [2.087, -3.712, 1.995], [-0.025, -2.558, 0.821], [1.075, -3.394, -0.298], [1.701, 3.040, -0.723], [0.289, 2.195, -1.784], [1.102, 0.897, -3.008], [-0.439, 3.639, -2.906], [-1.234, 1.391, -0.801], [2.447, 3.444, -1.413], [2.175, 2.323, -0.053], [1.304, 3.855, -0.116], [1.111, 1.317, -4.016], [0.514, -0.024, -3.022], [2.128, 0.652, -2.722], [0.349, 4.043, -3.548], [-0.832, 4.448, -2.285], [-1.246, 3.266, -3.540], [-2.026, 2.133, -0.671], [-1.153, 3.070, 2.437], [-0.333, 1.970, 2.272], [0.941, 2.485, 2.157], [-0.331, 1.232, 3.625], [0.299, 1.820, 4.654], [-1.572, 0.942, 4.030], [0.305, 0.037, 3.434]],
  "mulliken_spin": [1.118, 0.000, 0.000, 0.001, 0.000, -0.001, -0.001, 0.000, 0.003, -0.001, -0.001, 0.006, 0.001, 0.000, 0.000, 0.000, -0.030, 0.011, -0.001, 0.000, 0.001, 0.001, 0.001, 0.000, 0.000, 0.000, -0.001, 0.000, 0.000, 0.000, 0.001, -0.005, 0.001, -0.003, -0.091, 0.000, 0.000, 0.001, 0.000, -0.001, 0.000, 0.000, 0.000, 0.000, 0.007, 0.001, -0.010, -0.001, -0.008, 0.000, 0.002, 0.000],
  "energy_ha": -6313.4286,
  "largest_force_ev_per_a": 1.9,
  "homo_energy_ev": [-4.876, -4.874],
  "de_lowest_kcal_mol": 6.8,
  "gap_ev": [7.17, 7.17],
  "total_charge": -1,
  "multiplicity": 2,
  "e_lumo_ev": [2.30, 2.30],
  "s_squared": 0.77
}

{
  "formula": "C4H6O2",
  "method": "ωB97M-V with the def2-TZVPD basis set",
- - -
# Job
The reader should count the lines further up that contain the word "s_squared" and give the number alone.
# Solution
1